Can A Smart Home Alarm System Save Money On Your Home Insurance?
When most people think of saving money with home automation, their ideas usually centre around energy efficiency, which means everything from lights that switch off automatically to solar water heating.
This week, however, we’re taking a slightly different approach and looking at how you can save money on your home insurance with an automated burglar alarm.
To many of us, home insurance is just another one of those necessary evils that comes with being a homeowner. There are so many factors that influence the cost of home insurance: everything from where you live, to the size of your house and even the type of windows you have.
We did a quick check on the burglary stats for the Thames Valley, where we’re based. The report shows that they were more than 5,000 burglaries from January to June this year. So when it comes to home security, it’s not that surprising that some insurance companies insist that you have an intruder alarm installed in your property.
It goes without saying that the need to install an intruder alarm will depend on the risk level of your property as well as your insurance company’s policy. Previously, we understood that discounts were only available to those with an alarm installed and regularly maintained by an NSI NACOSS Gold or Systems Silver approved company.
However, having done a little research of our own, we’ve discovered that it’s not necessary to be ‘NACOSS’ approved in order to receive a discount. Now we can’t claim all the credit for this revelation, as it was our partner Graeme Harrold who first spotted this -thanks, Graeme!
How Can I Save Money?
Don’t worry, there’s no meerkats involved!
Once again, the amount you can save will depend very much on your individual circumstances and insurer, and our research indicates that savings can be anything from 5% to upwards of 12.5%.
Firstly, speak to your insurer and ask about their specific requirements, and what discounts, if any, are available to you.
[The piece is interrupted by records of crystals]
~~~
# BaTi4Bi4O15

A relaxed BaTi4Bi4O15 crystal (GGA-PBE, the Materials Project database).

Summary:
E, eV per atom: -7.393
Formation energy from the elements, eV per atom: -2.69

Cell: 20.5517 20.5517 20.5517 Å, 169.11 169.11 15.42°
Element x y z (fractional)
Ba1 0.0000 0.0000 0.0000
Ti1 0.3472 0.3472 0.0000
Ti2 0.4487 0.4487 0.0000
Ti3 0.5513 0.5513 0.0000
Ti4 0.6528 0.6528 0.0000
Bi1 0.1041 0.1041 0.0000
Bi2 0.2193 0.2193 0.0000
Bi3 0.7807 0.7807 0.0000
Bi4 0.8959 0.8959 0.0000
O1 0.0518 0.5518 0.5000
O2 0.1434 0.6434 0.5000
O3 0.2500 0.7500 0.5000
O4 0.3034 0.3034 0.0000
O5 0.3566 0.8566 0.5000
O6 0.4014 0.4014 0.0000
O7 0.4482 0.9482 0.5000
O8 0.5000 0.5000 0.0000
O9 0.5518 0.0518 0.5000
O10 0.5986 0.5986 0.0000
O11 0.6434 0.1434 0.5000
O12 0.6966 0.6966 0.0000
O13 0.7500 0.2500 0.5000
O14 0.8566 0.3566 0.5000
O15 0.9482 0.4482 0.5000
~~~
For example, with NFU Mutual you can get a 5% discount if the following criteria is met:
– UKAS approved installer.
– Alarm in good working order.
– Alarm regularly maintained (speak to your installer about this)
• Inserted here: calculated crystals:
'''
Record 1
First-principles (r²SCAN) data for a relaxed structure of LiMg2, as listed in the Materials Project.

Calculated values
The total energy comes out at -3.602 eV/atom. As for the total magnetization: 0.00 μB per formula unit. The calculation puts the mass density at 1443 kg/m³.

Unit cell a=8.262 b=8.262 c=5.028 alpha=90.00 beta=90.00 gamma=158.12
Fractional coordinates of all 6 atoms:
Mg 0.722 0.278 0.750
Mg 0.945 0.055 0.250
Mg 0.278 0.722 0.250
Mg 0.055 0.945 0.750
Li 0.611 0.389 0.250
Li 0.389 0.611 0.750

***

Record 2
First-principles (r²SCAN) data for a relaxed structure of Sr2ZnIn, as listed in the Materials Project.

Calculated values
The total energy comes out at -15.784 eV/atom. As for the total magnetization: 0.00 μB per formula unit. The calculation puts the mass density at 4682 kg/m³.

Unit cell a=5.628 b=5.628 c=5.628 alpha=60.00 beta=60.00 gamma=60.00
Fractional coordinates of all 4 atoms:
Zn 0.000 0.000 0.000
Sr 0.750 0.750 0.750
Sr 0.250 0.250 0.250
In 0.500 0.500 0.500

***

Record 3
First-principles (r²SCAN) data for a relaxed structure of BaGe3Ir, as listed in the Materials Project.

Calculated values
The total energy comes out at -24.637 eV/atom. As for the total magnetization: 0.00 μB per formula unit. The calculation puts the mass density at 8476 kg/m³.

Unit cell a=6.060 b=6.060 c=6.060 alpha=135.65 beta=135.65 gamma=64.52
Fractional coordinates of all 5 atoms:
Ge 0.842 0.342 0.500
Ge 0.342 0.842 0.500
Ge 0.001 0.001 0.000
Ba 0.589 0.589 0.000
Ir 0.241 0.241 0.000

***

Q: Which of these has the lowest mass density?
A: LiMg2

----------

Rb: optimized geometry, GGA-PBE.

Structure (extended XYZ):
```
4
Lattice="5.0113 0.0000 0.0000 0.0000 8.9034 0.0000 0.0000 0.0000 8.1845" Properties=species:S:1:pos:R:3 pbc="T T T"
Rb 0.0000 1.4260 2.0461
Rb 0.0000 7.4775 6.1384
Rb 2.5057 3.0257 6.1384
Rb 2.5057 5.8777 2.0461
```

Summary:
* SG: Cmcm (63)
* DFT formation energy: 0.01 eV per formula unit

Rb: optimized geometry, GGA-PBE.

Structure (extended XYZ):
```
8
Lattice="8.1123 0.0000 0.0000 -0.6335 8.3070 0.0000 -3.6958 -4.0808 10.6829" Properties=species:S:1:pos:R:3 pbc="T T T"
Rb 0.0000 0.0000 0.0000
Rb -0.3434 4.0242 2.6557
Rb 0.0462 -0.4477 5.3838
Rb -0.2487 3.4378 8.1310
Rb 3.7605 3.3808 0.0520
Rb 4.1122 -0.5640 2.6530
Rb 3.7429 3.9609 5.4433
Rb 4.0560 -0.0073 7.9875
```

Summary:
* SG: P1 (1)
* total magnetic moment: 0.00 μB/atom
* DFT formation energy: 0.02 eV per formula unit

----------

Record 1
DFT (GGA-PBE) results for Na2Ca2Zr6Si3S9O48 after structural relaxation. Values from VASP.

Space group ... P1 (1)
Energy of formation ... -2.690 eV/atom
E (MP2020) ... -7.675 eV per atom

Geometry as Quantum ESPRESSO input:
```
&SYSTEM
  ibrav = 0, nat = 210, ntyp = 6
/
ATOMIC_SPECIES
O 16.00 O.upf
S 32.06 S.upf
Na 22.99 Na.upf
Zr 91.22 Zr.upf
Si 28.09 Si.upf
Ca 40.08 Ca.upf
CELL_PARAMETERS angstrom
-10.235 -3.721 14.510
8.815 -2.139 -0.002
5.147 21.283 9.128
ATOMIC_POSITIONS crystal
O 0.597 0.023 0.598
'''
• The piece goes on:
With Direct Line, having a Loxone alarm system that’s regularly checked and maintained by your Loxone installer can result in a discount of 12.5%!
The key thing to remember here is that in most cases, a discount will only be applied if a service contract has been signed. This means you’ll need to sign a contract with your Loxone partner, or whoever installed the system to ensure that it is checked and maintained at intervals specified by your insurer.
1.
{
  "formula": "P7Rh12",
  "functional": "PBE",
  "state": "relaxed",
  "cell": [[0.000, 0.000, -3.535], [-9.160, 0.000, 0.000], [-4.580, 7.933, 0.000]],
  "species": ["P", "P", "P", "P", "P", "P", "P", "Rh", "Rh", "Rh", "Rh", "Rh", "Rh", "Rh", "Rh", "Rh", "Rh", "Rh", "Rh"],
  "fractional_positions": [[0.750, 0.000, 0.000], [0.750, 0.842, 0.716], [0.750, 0.442, 0.842], [0.750, 0.716, 0.442], [0.250, 0.162, 0.281], [0.250, 0.556, 0.162], [0.250, 0.281, 0.556], [0.750, 0.238, 0.747], [0.750, 0.015, 0.238], [0.750, 0.747, 0.015], [0.250, 0.772, 0.242], [0.250, 0.986, 0.772], [0.250, 0.242, 0.986], [0.750, 0.132, 0.484], [0.750, 0.383, 0.132], [0.750, 0.484, 0.383], [0.250, 0.863, 0.513], [0.250, 0.624, 0.863], [0.250, 0.513, 0.624]],
  "ef_ev_per_atom": -0.6077,
  "energy_ry_per_atom": -0.533
}



2.
{
  "formula": "PrAsS",
  "functional": "PBE",
  "state": "relaxed",
  "cell": [[3.943, 0.000, 0.000], [0.000, 3.995, 0.000], [0.000, 0.000, 17.747]],
  "species": ["Pr", "Pr", "Pr", "Pr", "As", "As", "As", "As", "S", "S", "S", "S"],
  "fractional_positions": [[0.250, 0.219, 0.854], [0.250, 0.281, 0.354], [0.750, 0.781, 0.146], [0.750, 0.719, 0.646], [0.750, 0.206, 0.502], [0.750, 0.294, 0.002], [0.250, 0.794, 0.498], [0.250, 0.706, 0.998], [0.250, 0.220, 0.686], [0.250, 0.280, 0.186], [0.750, 0.780, 0.314], [0.750, 0.720, 0.814]],
  "energy_corrected_mp2020_ev_per_atom": -6.25,
  "ef_ev_per_atom": -1.7262,
  "energy_ry_per_atom": -0.447
}



3.
{
  "formula": "Rb2Zn5As4",
  "functional": "PBE",
  "state": "relaxed",
  "cell": [[-6.819, 1.196, -0.232], [2.190, -6.115, -2.408], [-1.195, -4.702, 10.853]],
  "species": ["Rb", "Rb", "Rb", "Rb", "Zn", "Zn", "Zn", "Zn", "Zn", "Zn", "Zn", "Zn", "Zn", "Zn", "As", "As", "As", "As", "As", "As", "As", "As"],
  "fractional_positions": [[0.217, 0.783, 0.500], [0.217, 0.783, 0.000], [0.783, 0.217, 0.500], [0.783, 0.217, 0.000], [0.526, 0.239, 0.250], [0.761, 0.474, 0.750], [0.474, 0.761, 0.750], [0.239, 0.526, 0.250], [0.654, 0.654, 0.391], [0.346, 0.346, 0.609], [0.654, 0.654, 0.109], [0.346, 0.346, 0.891], [0.009, 0.009, 0.250], [0.991, 0.991, 0.750], [0.602, 0.913, 0.250], [0.087, 0.398, 0.750], [0.398, 0.087, 0.750], [0.913, 0.602, 0.250], [0.282, 0.282, 0.400], [0.718, 0.718, 0.600], [0.282, 0.282, 0.100], [0.718, 0.718, 0.900]],
  "ef_ev_per_atom": -0.3271,
  "energy_ry_per_atom": -0.204
}



4.
{
  "formula": "HfBrN",
  "functional": "PBE",
  "state": "relaxed",
  "cell": [[-3.397, -0.030, 1.136], [-0.156, -4.079, -0.576], [2.852, -1.309, 8.492]],
  "species": ["Hf", "Hf", "Br", "Br", "N", "N"],
  "fractional_positions": [[0.500, 0.000, 0.095], [0.000, 0.500, 0.905], [0.500, 0.500, 0.673], [0.000, 0.000, 0.327], [0.500, 0.500, 0.033], [0.000, 0.000, 0.967]],
  "energy_corrected_mp2020_ev_per_atom": -8.47,
  "ef_ev_per_atom": -1.8282,
  "energy_ry_per_atom": -0.614
}



5.
{
  "formula": "Tb3Al12Ru4",
  "functional": "PBE",
  "state": "relaxed",
To find out more about using Loxone to protect your home, please click here, or to find your nearest Loxone partner, please use our Partner Search.
If you’re an existing partner and would like to find out more about integrating an alarm or access system with Loxone, why not arrange a free project consultation at our offices in Reading?